Mergers on the wealth management scene are like buses: too many people crammed into a small space, causing sweaty neighbours, debates about which route to follow and too many loudmouths on their Blackberrys. No, wait, let me try that again. Mergers on the wealth management scene are like buses: you wait years for one, then a glut come along at once.
This spring, we saw three high-profile unions on the normally placid London scene: private investment office Lord North Street and multi-family office SandAire announced in March they were merging; in early April Rathbones bought parts of Jupiter and Tilney for £57 million; and later in April Thurleigh (£300 million AUM) began a merger with the much-larger Ingenious (£1.2 billion). These follow the approval of the Quilter-Cheviot merger and Schroders’ acquisition of Cazenove last year. So why are these mergers happening now? Why are their non-merging rivals so pleased? And what does this mean for clients?
There has been, as a report from Aite dramatically put it, a growing ‘hunger and expectation’ for consolidation. (A PwC report called the industry, with slightly less drama, ‘fluid’.) The author had observed it in most parts of the wealth management sector, like big banks, IFAs and sales to private equity, but not — and he’s clear about this — in the family office segment, which is precisely where it is now happening. According to PwC, it’s only going to continue.
The conditions which have inspired these bouts of matrimony range from the local to the global. Most obviously, thanks to quantitative easing and the world’s eventual recovery from recession, with accompanying market booms, there is more money about; companies have been stockpiling for years and profiting of late, and now there is M&A activity in every sector. Britain’s wealth businesses — with £4.5 trillion under management — are no exception.
But counterbalancing this opportunity are plenty of threats, strong drivers to safer harbours. Unremitting waves of regulation are one of these. William Drake, co-founder of Lord North Street, says cost and complexity had in part urged them to their merger: ‘It’s getting more and more expensive to be an asset management company, so a bit more size will make it a little easier to do the things we wanted to do.’ Charles MacKinnon of Thurleigh talked of an ‘increasing tide of regulation’, now swollen to engulfing proportions.
Even before the financial crisis, the Financial Services Authority had set in motion the Retail Distribution Review, meaning advisers had to be properly qualified, to choose between giving independent or restricted advice and to charge for their advice, rather than taking kickbacks from those whose products they sold. While a quarter of financial advisers consequently left the industry, those at private banks and wealth managers had largely already qualified, though some senior staff had to crack open their textbooks and take their exams. The financial crisis then entailed much more regulation, from London, Brussels and Washington.
The EU promulgated MiFID II, which sounds like a nuclear weapons programme but in fact affects anyone who deals with financial instruments, while America developed FATCA, a demanding and demoralising law which means that anyone who has US clients needs to submit data on them to the IRS. The larger your firm, the less burdensome this becomes.
Interestingly, RDR also motivated the Thurleigh merger in a positive way: MacKinnon says it will let the new company offer Thurleigh’s ‘intellectual strategy, our portfolio’ to many more people, farmers in Cirencester as well as plutocrats in Chelsea. He compares it to Heston Blumenthal: he can have both the three-Michelin-starred Fat Duck restaurant and ‘he can sell Christmas puddings on the shelf in Waitrose’.
And no sooner have we consumed this year’s candied-lemon-stuffed Blumenthal Christmas puddings than it will be time for the 2015 general election, which has been presaging political risk for wealth managers. ‘We’re very aware,’ says MacKinnon, ‘that there’s an election coming, and around elections there are often tax changes. We have a very positive environment for entrepreneurs and there’s a fear that environment might fall away. Is it why we did the deal? No. Is it why we did the deal now? Yes.’
Future tension
Timing has been important in another way too. Firms which have survived the financial crisis have proved their essential stability (and indeed profitability), but now five long years of reaction are giving way to thoughts of what comes next. Existential questions are being asked — about the values that motivate a firm, its principals and its employees, about the responsibilities running a firm entails, about belief in the importance of independence. Asking these questions when there is plenty of hungry money around is a lot easier, of course.
Daniel Pinto of Stanhope Capital, three times winner of a Spear’s Wealth Management Award and with no plans to merge any time soon, says we are seeing an evolution: ‘The first period of multi-family offices was all about using your network of contacts, the founding families, the friends of the founding families, and in fact behaving like a club of wealthy co-investors. There is a second stage now, which is probably a sign that this sector is becoming more mature, where people say it’s not just about being a club of wealthy co-investors, it is about performing, it is about investing in research.’
Then there is the cyclical aspect: ‘Turn, turn, turn,’ MacKinnon says, quoting the Byrds. ‘Cycles are natural. There will be a cycle of agglomeration that we’re now in, which will create larger firms, which will eventually split up.’ His thirtysomething team members would, in a decade, decide to strike out with their own small firms, having seen how business was done on a bigger scale.
If size makes the firm’s regulation more manageable, does it necessarily make its intellectual firepower more, well, powerful? In a Spear’s/Speechly Bircham debate in 2010, Charlie Hoffman of HSBC Private Bank suggested to William Drake that banks had the advantage over independent wealth management firms because they could cover more asset classes more deeply.
# What comes next are molecular data, not part of the entry
- - -
C3LiNaO6 | ωB97M-V with the def2-TZVPD basis set

```
11
Properties=species:S:1:pos:R:3:forces:R:3
O 0.99760 1.66175 -0.58936 0.33 0.17 0.33
C 0.31399 0.73524 -0.15701 -0.14 -0.30 -0.53
O 1.20566 -0.23020 0.47312 0.83 0.76 0.07
C 0.85492 -1.58390 0.56402 -0.42 -1.03 -0.39
O -0.35361 -1.86964 0.41073 -0.06 0.37 -0.06
O 1.82144 -2.33574 0.72434 0.13 0.30 0.21
Na 3.10324 0.89885 0.02928 -0.81 -0.30 0.01
C -3.29536 1.04203 0.15590 0.32 -1.64 0.08
O -3.21276 0.60175 -1.00644 -0.06 0.65 -0.26
O -2.94289 0.44508 1.18828 -0.17 0.86 0.09
Li -1.57458 -0.45001 -0.19597 0.04 0.15 0.45
```
Forces are in eV/Å.

Its net charge is -1. As for the gap between HOMO and LUMO (spin up / spin down): 4.2782 / 5.6589 eV. The multiplicity is 2. The molecular weight comes out at 161.96 g mol⁻¹.

What are the natural (NBO) partial charges on each atom? They are as follows, in elementary charge units: number 1, O, carries -0.802; number 2, C, carries 0.350; number 3, O, carries -0.727; number 4, C, carries 0.970; number 5, O, carries -0.830; number 6, O, carries -0.765; number 7, Na, carries 0.904; number 8, C, carries 0.611; number 9, O, carries -0.784; number 10, O, carries -0.754; number 11, Li, carries 0.827

=====

[1]
An isolated ion of composition C7H10N and charge +1 in a non-equilibrium geometry, computed with ωB97M-V/def2-TZVPD.

Geometry as ORCA input:
```
! RIJCOSX wB97M-V def2-TZVPD def2/J DEFGRID3
* xyz 1 1
C 0.15 -2.47 0.34
C -0.40 0.75 -0.61
C -2.29 -0.95 0.09
C -1.17 -0.50 -0.86
C 0.54 0.66 0.51
C -0.91 -1.54 0.18
C 2.00 0.87 0.43
N 0.40 -1.34 0.90
H 0.65 -3.46 0.33
H 0.31 1.11 -1.46
H -1.28 1.45 -0.49
H -2.48 -0.25 0.82
H -3.04 -1.72 -0.15
H -1.47 -0.79 -1.84
H 0.32 0.81 1.49
H 2.13 1.86 0.18
H 2.26 0.23 -0.31
H 2.56 0.84 1.26
*
```

Values from the calculation:
**HOMO energy**: -0.51989 Eh
**Frontier orbital gap**: 8.856 eV
**Lowest unoccupied orbital energy**: -5.29 eV

Here are the Mulliken charges for atoms 1 to 8, given in e: number 1, C, carries -0.175; number 2, C, carries -0.437; number 3, C, carries -0.768; number 4, C, carries -0.240; number 5, C, carries 0.209; number 6, C, carries 0.502; number 7, C, carries -1.474; number 8, N, carries -0.416



[2]
C3H10N5 as an isolated structure in a non-equilibrium geometry, computed with ωB97M-V/def2-TZVPD.

Geometry as ORCA input:
```
! RIJCOSX wB97M-V def2-TZVPD def2/J DEFGRID3
* xyz 1 1
C 1.05 0.25 0.28
C 2.45 0.66 0.25
C 0.10 2.49 -0.67
N 0.49 -0.87 0.64
N -0.82 -0.67 0.36
N -1.15 0.49 -0.13
N -0.03 1.16 -0.19
N -2.18 -2.80 0.18
H 2.82 0.77 -0.90
H 2.97 -0.17 0.67
H 2.57 1.62 0.84
H -0.86 2.76 -0.67
H 0.53 3.04 0.09
H 0.65 2.53 -1.53
H -2.55 -3.04 -0.81
H -1.48 -1.80 0.26
H -1.56 -3.56 0.48
H -3.01 -2.87 0.85
*
```

Values from the calculation:
**HOMO energy**: -0.53166 Eh
**Frontier orbital gap**: 11.625 eV
**Lowest unoccupied orbital energy**: -2.84 eV
- - -
Drake, whose firm will go from 25 people to 50 after the merger, is as dismissive of this argument today as he was in 2010: ‘If you’re picking stocks and trying to cover all the stocks in the world, you couldn’t possibly do it. But what we’re doing is asset allocation and manager selection,’ perfectly possible with a team the size of his. If you take care of the strategy, his argument runs, the tactics will only matter moderately. Today’s accessible but in-depth technology, MacKinnon says, allows even small firms to compete. (The exact word he used when I suggested bigger meant better was ‘rubbish!’.)
Pinto, whose firm has £6 billion under management, thinks size matters. He contrasts his 70 employees, including eighteen exclusively on investment research, with other firms: ‘If you look at some of these private investment offices, their combined employee base was eighteen people, including everyone — the secretaries, the business developers etc.’ But it’s not wholly a numbers game: ‘It doesn’t mean success is a function of the number of people you have — it’s not — but you need to invest in your investment capabilities.’ He says he wouldn’t be surprised to see firms with between 100 and 200 people (which Stanhope is approaching), and he says it with confidence, with desire.
One factor Pinto is at pains to emphasise is that wealth managers which don’t have the ‘best’ structure will fall away: without the right incentives — an equity share for key employees is vital, he suggests — you won’t attract the right people and if you don’t attract the right people, you won’t make enough money to keep them and hire new ones.
‘When you look around, very, very few firms had done that, either because they had a founding family that was not willing to use equity to attract talent or because you had one or two founders who decided they should keep their stake… Because they had the first step wrong, they were never able to grow substantially, were not able to make enough money and therefore had to sell themselves or merge.’
There are certainly firms which have merged of which this is true, but both Lord North Street and Thurleigh would dispute that it was true of them; in addition, William Drake says equity in a firm is only one way of keeping talent and Charles MacKinnon says some of his employees have equity shares.
There is, of course, a brand of wealth manager which prides itself on not growing but which is now, perhaps belatedly, realising it can’t always cope: the hyper-exclusive single-family office.
Family affairs
Single-family offices, which only become practical given wealth in the nine digits, might be thought almost by definition to be able to afford the best advisers. But as Stanhope partner Guy Paterson says, they are conceding that larger, independent wealth managers might be necessary to pick managers once asset allocation has been settled internally.
In addition to performance and regulation, single-family offices are finding one of their original purposes frustrated too, Paterson says: ‘A lot of these family offices were set up to have absolute privacy; well, as you will know absolute privacy doesn’t exist any more — what you have is relative confidentiality. Once you’ve accepted you can’t have absolute privacy any more, you may as well get the best performance.’ This potential flow of mega-money is thus both a cause and an effect of mergers: firms attracting it become more desirable partners and larger firms are more likely to attract it.
== Molecular data that have nothing to do with the text ==
____________
{"formula": "C35H30N7O3Os", "method": "ωB97M-V with the def2-TZVPD basis set", "e_homo_ev": [-9.941, -10.381], "spin_multiplicity": 5, "fmax_ev_per_a": 1.06, "s_squared": 6.0324, "charge": 1, "energy_ev": -55812.9878, "species": ["Os", "O", "O", "O", "N", "N", "N", "N", "N", "N", "N", "C", "C", "C", "C", "C", "C", "C", "C", "C", "C", "C", "C", "C", "C", "C", "C", "C", "C", "C", "C", "C", "C", "C", "C", "C", "C", "C", "C", "C", "C", "C", "C", "C", "C", "C", "H", "H", "H", "H", "H", "H", "H", "H", "H", "H", "H", "H", "H", "H", "H", "H", "H", "H", "H", "H", "H", "H", "H", "H", "H", "H", "H", "H", "H", "H"], "positions_angstrom": [[1.16717, 0.70075, 0.15881], [-0.14144, -0.99157, -1.17289], [5.73944, 1.11270, 1.38560], [3.13760, 0.28743, 0.39074], [1.66433, 2.29242, -1.05332], [1.74755, -2.39849, 0.11732], [0.61461, -2.99836, -0.32361], [0.72773, 3.07179, -1.62053], [0.79323, -0.69362, 1.50740], [-0.68583, 1.34552, 0.26473], [-0.39741, -1.01863, 2.06214], [-3.48213, 0.52666, 3.33852], [2.85452, -2.43645, -0.55059], [-1.29668, 1.83710, -0.90419], [-1.62297, -2.86784, -1.06351], [0.87574, -2.82684, 2.39057], [-1.50795, 1.07868, 1.37465], [1.26764, 4.24848, -1.99679], [5.47326, -0.02874, 0.70379], [-3.06388, -4.78705, -0.91885], [-4.00031, -2.61655, -1.35257], [-3.46582, 1.75036, 2.66383], [-1.43639, -0.09956, 2.16189], [2.60425, 4.22553, -1.66264], [6.50870, -1.95043, -0.35967], [2.80766, 2.97964, -1.07438], [-2.44988, -0.35405, 3.09721], [6.59707, -0.74224, 0.31909], [4.10981, -1.81890, -0.21987], [5.27305, -2.49447, -0.61241], [-4.17022, -3.97626, -1.13883], [-1.20658, 3.03620, -3.02814], [-2.62464, 1.52225, -1.24172], [-3.14326, 3.17091, -4.62350], [1.63406, -1.86108, 1.53801], [-2.72867, -2.06552, -1.32042], [-3.21604, 1.94948, -2.40818], [4.18221, -0.50217, 0.33141], [-4.57115, 0.18216, 4.31416], [-1.79275, -4.23836, -0.87893], [-0.30003, -2.20668, -0.86822], [-2.51766, 2.72007, -3.33534], [-2.50088, 2.00923, 1.72141], [-0.32187, -2.28609, 2.62674], [-0.60474, 2.62747, -1.84342], [4.77341, 1.86338, 2.11250], [3.71312, 2.54203, -0.69058], [0.68520, 5.02162, -2.46529], [-0.92589, -4.85863, -0.70056], [-4.70429, -0.89666, 4.37774], [-2.51264, 2.95033, 1.18915], [5.25678, 2.17726, 3.03585], [-4.22754, 3.21044, -4.53941], [-4.85832, -1.98510, -1.54667], [-2.56558, -1.01120, -1.48988], [-0.61530, 3.60003, -3.73950], [-2.89529, 2.47524, -5.42803], [4.49833, 2.75739, 1.54889], [-4.33334, 0.55173, 5.31364], [3.88011, 1.29587, 2.34698], [7.40442, -2.46689, -0.67427], [-5.51487, 0.63226, 4.01008], [7.56312, -0.31742, 0.55867], [-2.42372, -1.26578, 3.67673], [-3.19088, -5.85185, -0.77275], [2.80377, -3.04458, -1.44862], [-4.21825, 2.50020, 2.87304], [3.33001, 5.00406, -1.81459], [-1.14861, -2.71947, 3.15839], [-2.77605, 4.15517, -4.91099], [-5.16319, -4.40679, -1.15156], [-3.20322, 0.91481, -0.56333], [-4.24017, 1.66467, -2.61604], [5.18326, -3.46270, -1.08925], [1.24297, -3.79513, 2.68179], [2.65219, -1.64917, 1.86235]], "atomic_forces_ev_per_a": [[-0.11, -0.33, -0.16], [0.17, 0.22, 0.10], [0.02, 0.17, -0.26], [-0.73, 0.62, 0.06], [0.31, 0.23, -0.23], [0.51, 0.61, 0.22], [-0.64, -0.85, -0.01], [-0.06, 0.27, 0.08], [-0.07, -0.43, 0.34], [0.06, 0.02, 0.20], [0.13, 0.21, -0.22], [0.02, -0.11, -0.04], [-0.23, -0.08, -0.04], [-0.12, 0.19, -0.41], [-0.15, 0.06, 0.00], [-0.13, 0.23, -0.12], [-0.01, -0.05, 0.13], [0.26, 0.03, 0.04], [-0.26, -0.13, 0.12], [0.04, -0.04, -0.01], [-0.02, 0.03, -0.04], [0.08, 0.03, -0.05], [-0.14, 0.40, -0.14], [-0.09, -0.01, -0.02], [0.00, -0.09, -0.03], [0.06, 0.01, -0.18], [-0.05, 0.00, 0.11], [-0.03, -0.04, 0.05], [0.16, 0.62, 0.15], [-0.06, -0.13, 0.06], [-0.03, -0.01, -0.02], [0.10, 0.01, -0.05], [0.21, -0.08, 0.21], [0.09, -0.09, -0.01], [0.07, -0.42, -0.25], [0.09, -0.03, -0.02], [0.00, 0.07, -0.09], [0.51, -0.59, -0.24], [0.08, 0.06, 0.04], [0.01, 0.06, 0.01], [0.65, 0.15, -0.04], [-0.01, 0.04, 0.10], [0.04, -0.03, -0.07], [0.34, -0.47, 0.22], [-0.28, -0.27, 0.20], [-0.04, 0.02, 0.05], [-0.06, -0.06, 0.10], [-0.11, -0.07, 0.01], [-0.01, -0.01, 0.05], [-0.04, 0.01, 0.03], [-0.01, 0.01, -0.06], [0.04, -0.02, -0.03], [-0.01, 0.02, -0.01], [0.00, -0.01, 0.01], [-0.02, 0.00, -0.01], [-0.01, 0.02, 0.01], [-0.03, 0.02, -0.02], [-0.06, -0.06, -0.01], [-0.01, 0.01, -0.01], [-0.02, -0.10, 0.04], [0.02, 0.02, 0.05], [-0.02, -0.02, 0.02], [-0.02, 0.03, 0.03], [0.02, 0.00, -0.02], [-0.02, 0.01, -0.01], [-0.12, 0.03, -0.03], [-0.03, -0.03, 0.01], [-0.01, 0.00, -0.02], [-0.07, 0.09, -0.04], [-0.04, 0.01, -0.03], [0.01, -0.01, -0.02], [0.01, -0.05, 0.10], [-0.01, 0.01, 0.03], [0.00, 0.02, -0.04], [-0.10, -0.02, 0.04], [-0.04, 0.07, 0.05]]}
____________
== So much for the molecular data ==
Amid the joyful pealing of wedding bells, there are some parties who may find these marriages less than congenial: the clients.
DNA profiling
Entrusting your money to one of these wealth management firms is more than a matter of bonds and basis points. If you’ll forgive the florid term, it’s about philosophy. (I bet I know exactly which private bank Plato would have gone with.) One signs up to Thurleigh or Lord North Street or another wealth manager because you like their people and agree with their investment approach, which are anyway intertwined. When two firms become one, a critical risk is that this investment philosophy is diluted.
Daniel Pinto thinks this is a critical issue: ‘Every firm has an investment DNA… If you merge with a firm that doesn’t have the same culture, it could be that the clients feel it’s not what they signed up for.’ That is, one new philosophy may disappoint two sets of clients.
William Drake robustly denies this is the case with his company, saying the whole point of the merger was that the two firms’ investment philosophies were similar: he and Alex Scott of SandAire realised ‘the businesses, through separate routes, had come to a very similar business model and we shared values’. After some time, the two firms will compare their processes and adopt the best of each other’s.
A merger may mean changes in staff and their influence too, says Pinto: ‘It is clearly challenging because it’s one thing to deal with an owner and when you merge, very often the balance of power in the combined entity has changed. You create instability, and the enemy of client satisfaction is instability.’ Guy Paterson adds: ‘We’re all people-businesses and if you’re distracted by internal politics, by what your personal position is, that can’t help in terms of maximising risk-adjusted returns.’
This fear of instability has clearly been behind pronouncements from merging firms. William Drake says: ‘We’re going to keep both companies running as regulated entities for a little while and use both names, and over a year take advice on which brand to use or whether to come up with a new brand.’ The same from Thurleigh: no new brand for at least a year. If I had to help choose the new name, I’d go for Ingenurleigh — which is probably why I ought to stick to writing about these mergers, rather than orchestrating them.